Could you restate everything below without altering anything?
┌──
DFT (PBE with a Hubbard U) results for a relaxed NaCr2InF6 crystal.

Cell and atoms, written as extended XYZ:
```
10
Lattice="5.8415 0.0000 0.0000 -2.7142 5.1742 0.0000 -0.4905 -3.2117 4.9267" Properties=species:S:1:pos:R:3 pbc="T T T"
Na 0.0000 0.0000 0.0000
Cr -0.3831 0.0145 3.7647
Cr 2.7744 1.6183 1.2243
In -0.2095 3.3246 2.4863
F -0.1724 -1.8376 2.9568
F -0.7958 1.7458 4.7114
F 1.0215 0.9508 2.0043
F 1.8208 3.0267 0.0133
F 3.8516 0.4526 2.5447
F 4.5165 2.0259 0.2966
```

Summary:
The calculation puts the total energy at -5.4279 eV/atom. For the density of states at the Fermi level, the calculation gives 0.0 states/eV/cell. Its space group is P1.

----------

{
  "formula": "RbLiNd2Te4",
  "functional": "PBE",
  "state": "optimized geometry",
  "lattice": [[-2.448, -1.451, 3.627], [5.981, -5.328, -1.025], [9.369, 8.637, 9.779]],
  "species": ["Rb", "Rb", "Te", "Te", "Te", "Te", "Te", "Te", "Te", "Te", "Nd", "Nd", "Nd", "Nd", "Li", "Li"],
  "frac_coords": [[0.111, 0.221, 0.750], [0.889, 0.779, 0.250], [0.430, 0.860, 0.750], [0.735, 0.470, 0.610], [0.735, 0.470, 0.890], [0.000, 0.000, 0.000], [0.570, 0.140, 0.250], [0.265, 0.530, 0.110], [0.000, 0.000, 0.500], [0.265, 0.530, 0.390], [0.634, 0.267, 0.438], [0.634, 0.267, 0.062], [0.366, 0.733, 0.562], [0.366, 0.733, 0.938], [0.836, 0.673, 0.750], [0.164, 0.327, 0.250]],
  "total_energy_ev_per_atom": -4.473,
  "density_g_cm3": 5.16
}
└──
DFT (PBE with a Hubbard U) results for a relaxed NaCr2InF6 crystal.

Cell and atoms, written as extended XYZ:
```
10
Lattice="5.8415 0.0000 0.0000 -2.7142 5.1742 0.0000 -0.4905 -3.2117 4.9267" Properties=species:S:1:pos:R:3 pbc="T T T"
Na 0.0000 0.0000 0.0000
Cr -0.3831 0.0145 3.7647
Cr 2.7744 1.6183 1.2243
In -0.2095 3.3246 2.4863
F -0.1724 -1.8376 2.9568
F -0.7958 1.7458 4.7114
F 1.0215 0.9508 2.0043
F 1.8208 3.0267 0.0133
F 3.8516 0.4526 2.5447
F 4.5165 2.0259 0.2966
```

Summary:
The calculation puts the total energy at -5.4279 eV/atom. For the density of states at the Fermi level, the calculation gives 0.0 states/eV/cell. Its space group is P1.

----------

{
  "formula": "RbLiNd2Te4",
  "functional": "PBE",
  "state": "optimized geometry",
  "lattice": [[-2.448, -1.451, 3.627], [5.981, -5.328, -1.025], [9.369, 8.637, 9.779]],
  "species": ["Rb", "Rb", "Te", "Te", "Te", "Te", "Te", "Te", "Te", "Te", "Nd", "Nd", "Nd", "Nd", "Li", "Li"],
  "frac_coords": [[0.111, 0.221, 0.750], [0.889, 0.779, 0.250], [0.430, 0.860, 0.750], [0.735, 0.470, 0.610], [0.735, 0.470, 0.890], [0.000, 0.000, 0.000], [0.570, 0.140, 0.250], [0.265, 0.530, 0.110], [0.000, 0.000, 0.500], [0.265, 0.530, 0.390], [0.634, 0.267, 0.438], [0.634, 0.267, 0.062], [0.366, 0.733, 0.562], [0.366, 0.733, 0.938], [0.836, 0.673, 0.750], [0.164, 0.327, 0.250]],
  "total_energy_ev_per_atom": -4.473,
  "density_g_cm3": 5.16
}